I would like to share with you my thoughts on Logos' Bible Software.
This is a company based out of Washington that started from the ground up as a small operation. They are now a leader in the Bible Software industry. This in itself is no small task considering the Bible software industry and its size.
I started using Logos about 15-16 years ago when it was very basic and easy to use. Oh, how times have changed! After a few years of using it I started using WordSearch and laid Logos down. After about 11 years I started to notice it again and how it offered so much.
Now, the review.
The company sent me a copy of the Scholar Platinum edition
-To be fair, there is a steep learning curve IF you want to be proficient with this software. To use this software on a basic level it is ok for beginners (see usability) below.
-**Word of warning** You need to have a computer with decent specs to run this software or it will bring your system to a crawl. I would say 2.0ghz, 2gb memory, and 3-4 gb of hard disk space. All of this is a minimum.
-It really helps if you install the library to your hard drive. You can also choose to run the basic installer and run everything from the internet.
-Graphically- I would give the program an 8 out of 10
-Interface- I would give the program a 7 out of 10
-Content- (which is the crux of what most Bible software programs are all about) I would give a 9.5 out of 10
-Upgrade-ability- which includes updates, upgrades to the main program and add-ons to the existing program I would give a 9 out of 10
and lastly
-Usability (ease of use) - I would give an 8 out of 10
The article is interrupted by records of crystals
- - -
Density functional theory data (PBE-GGA) for Cu2SnS3 after structural relaxation.

Geometry as POSCAR:
```
Cu2SnS3
1.0
5.797 3.347 0.000
-5.797 3.347 0.000
0.000 2.265 6.330
Cu Sn S
4 2 6
direct
0.558 0.395 0.014 Cu
0.737 0.241 0.512 Cu
0.395 0.558 0.514 Cu
0.241 0.737 0.012 Cu
0.091 0.906 0.496 Sn
0.906 0.091 0.996 Sn
0.756 0.939 0.397 S
0.939 0.756 0.897 S
0.593 0.116 0.876 S
0.116 0.593 0.376 S
0.301 0.470 0.877 S
0.470 0.301 0.377 S
```

Calculated values
Energy with MP2020 corrections ... -28.1 eV/f.u.
DFT total energy ... -26.6 eV/f.u.
Energy of formation ... -0.578 eV per atom
Maximum piezoelectric response ... 0.29 C/m²
- - -
Logos software is not a beginner software. It is best suited for someone who has some experience using Bible software. The integration that it has with a word processor is great. The ability to do word studies or better yet, themed studies, is amazing. I especially like the way all of your windows or studies can be linked.
As an example...
If I do a study on the gifts the wise men brought to baby Jesus you might have windows (as many as you want) popping up to give you the history of those gifts, what each gift meant at that time, the culture's view on those gifts or the wise and etc.
-- begin --
VASP calculation (PBE+U) on crystalline MnPH4NO3F3 at its relaxed geometry.

Summary:
Formation energy, eV/atom: -1.907

Cell: 5.4846 13.8184 7.8562 Å, 90.00 113.48 90.00°
With the nearest neighbours (Å) after each atom.
Space group P2_1/c (No. 14)
One atom of each set of equivalent atoms:
1 Mn 0.0000 0.0000 0.0000  2 F 1.88, 2 O 1.96
2 Mn 0.5000 0.0000 0.5000  2 F 1.91, 2 O 1.95
3 P 0.1275 0.1018 0.6840  3 O 1.52-1.53, 1 F 1.60
4 H 0.2365 0.6829 0.1710  1 N 1.04
5 H 0.2695 0.6714 0.3948  1 N 1.05
6 H 0.3891 0.7279 0.8266  1 N 1.03
7 H 0.4674 0.1627 0.1660  1 N 1.03
8 N 0.3571 0.6988 0.3080  4 H 1.03-1.05
9 O 0.1621 0.6046 0.9506  1 P 1.52
10 O 0.1966 0.0305 0.8457  1 P 1.53
11 O 0.3264 0.0981 0.5914  1 P 1.53
12 F 0.1378 0.6261 0.5315  1 H 1.64
13 F 0.1900 0.2069 0.7771  1 P 1.60
14 F 0.3268 0.0516 0.2555  1 Mn 1.91, 1 H 1.97


Entry 1:
Material: SrCaEuSeO6
Method: DFT, PBE
State: optimized geometry

Its formation energy from the elements is -2534 meV/atom. The total energy is -6.84 eV/atom.

The space group is F-43m (No. 216) and the conventional cell measures 8.083, 8.083 and 8.083 Å, with angles of 90.00, 90.00 and 90.00 degrees. Symmetry generates all atoms from Sr at (0.000, 0.000, 0.000), Ca at (0.250, 0.250, 0.750), Eu at (0.000, 0.000, 0.500), Se at (0.250, 0.250, 0.250) and O at (0.024, 0.250, 0.250).

---

Entry 2:
Material: EuMg2
Method: DFT, PBE
State: optimized geometry

Its formation energy from the elements is -115 meV/atom. The total energy is -4.60 eV/atom.

The space group is Fd-3m (No. 227, origin choice 2) and the conventional cell measures 8.871, 8.871 and 8.871 Å, with angles of 90.00, 90.00 and 90.00 degrees. Symmetry generates all atoms from Eu at (0.125, 0.125, 0.125) and Mg at (0.000, 0.000, 0.500).

---

Entry 3:
Material: KAg3Te2
Method: DFT, PBE
State: optimized geometry

Its formation energy from the elements is -520 meV/atom. The total energy is -3.03 eV/atom.

The space group is C2/m (No. 12) and the conventional cell measures 17.695, 4.639 and 9.263 Å, with angles of 90.00, 114.16 and 90.00 degrees. Symmetry generates all atoms from K at (0.134, 0.000, 0.048), Ag at (0.064, 0.000, 0.410), Ag at (0.089, 0.500, 0.629), Ag at (0.192, 0.500, 0.456), Te at (0.018, 0.500, 0.221) and Te at (0.205, 0.000, 0.707).

---

Entry 4:
Material: NaRhS2O8
Method: DFT, PBE
-- stop --
The right-click menu system is very good as you can click on a word and parse the word to the fullest.
Finally, the great thing about this software is how you can upgrade it.
You can buy the Christian Home Edition which includes almost 100 Bibles and Bible reference books and build on it. You can add as little or as much as you want. You don't have to buy the big packages like the one mentioned earlier. You can add a simple book or a set of books. It is up to you. They also have Spanish versions available.
Someone pasted crystal structures at this point:
~~~
First-principles (PBE) data for a geometry-optimized HoCoC2 structure, as listed in the Materials Project database.

Calculated values
Volume = 48 Å³/f.u.
ΔH_f (0 K) = -0.3520 eV per atom

abc: 3.7450 3.7450 3.5398
angles: 90.00 90.00 106.07
Closest atoms and distances in Å follow each position.
Atoms (fractional coordinates):
Co: 0.3842 0.6158 0.5000  4 C 1.93-1.98
C: 0.5417 0.1520 0.5000  1 C 1.38
C: 0.8480 0.4583 0.5000  1 C 1.38
Ho: 0.0011 0.9989 0.0000  8 C 2.63-2.64, 2 Co 2.90

=====

First-principles (PBE) data for a geometry-optimized Sm2Fe15Si2 structure, as listed in the Materials Project database.

Calculated values
Volume = 253 Å³/f.u.
Energy above the lowest structure with this stoichiometry = 1.87 eV/f.u.
M_tot = 27.990 μB/cell
ΔH_f (0 K) = -0.0457 eV per atom

abc: 6.3831 6.3831 6.3831
angles: 81.70 81.70 81.70
Closest atoms and distances in Å follow each position.
Atoms (fractional coordinates):
Fe: 0.5000 0.0000 0.0000  8 Fe 2.40-2.44, 2 Si 2.55
Fe: 0.6605 0.1553 0.6605  8 Fe 2.40-2.66, 1 Si 2.56
Fe: 0.3395 0.8447 0.3395  8 Fe 2.40-2.66, 1 Si 2.56
Fe: 0.2897 0.0000 0.7103  8 Fe 2.42-2.66
Fe: 0.8447 0.3395 0.3395  8 Fe 2.40-2.66, 1 Si 2.56
Fe: 0.0000 0.0000 0.5000  8 Fe 2.40-2.44, 2 Si 2.55
Fe: 0.0000 0.5000 0.0000  8 Fe 2.40-2.44, 2 Si 2.55
Fe: 0.2897 0.7103 0.0000  8 Fe 2.42-2.66
Fe: 0.1553 0.6605 0.6605  8 Fe 2.40-2.66, 1 Si 2.56
Fe: 0.7103 0.0000 0.2897  8 Fe 2.42-2.66
Fe: 0.0000 0.2897 0.7103  8 Fe 2.42-2.66
Fe: 0.3395 0.3395 0.8447  8 Fe 2.40-2.66, 1 Si 2.56
Fe: 0.0000 0.7103 0.2897  8 Fe 2.42-2.66
Fe: 0.6605 0.6605 0.1553  8 Fe 2.40-2.66, 1 Si 2.56
Fe: 0.7103 0.2897 0.0000  8 Fe 2.42-2.66
Si: 0.8984 0.8984 0.8984  12 Fe 2.55-2.73, 1 Si 2.55
Si: 0.1016 0.1016 0.1016  12 Fe 2.55-2.73, 1 Si 2.55
Sm: 0.3446 0.3446 0.3446  18 Fe 2.99-3.29, 1 Si 3.05
Sm: 0.6554 0.6554 0.6554  18 Fe 2.99-3.29, 1 Si 3.05

=====

Q: The lowest volume belongs to which entry?
A: HoCoC2

~~~~~

[1]
A relaxed structure of U7Pd24S32. Source: Materials Project, functional GGA-PBE.

- E_form: -923 meV/atom
- Total magnetic moment: 0.029 μB per atom
- Energy: -5.996 eV/atom

Cell: 13.3816 13.3816 13.3816 Å, 90.00 90.00 90.00°
Closest atoms and distances in Å follow each position.
Space group Im-3 (No. 204)
One atom of each set of equivalent atoms:
U (0.0000, 0.0000, 0.5000) (multiplicity 6)  8 S 2.90
U (0.2500, 0.2500, 0.2500) (multiplicity 8)  8 S 2.76-2.90
Pd (0.0000, 0.1283, 0.2490) (multiplicity 24)  4 S 2.36-2.37
Pd (0.0000, 0.3762, 0.2495) (multiplicity 24)  4 S 2.37
S (0.1244, 0.1253, 0.3747) (multiplicity 48)  3 Pd 2.37
S (0.1309, 0.1309, 0.1309) (multiplicity 16)  3 Pd 2.36

***

[2]
A relaxed structure of U2PdS4. Source: Materials Project, functional GGA-PBE.

- E_form: -1542 meV/atom
- Energy: -7.585 eV/atom

Cell: 10.6306 13.1944 8.2322 Å, 90.00 90.00 90.00°
Closest atoms and distances in Å follow each position.
Space group Fdd2 (No. 43)
One atom of each set of equivalent atoms:
U (0.0515, 0.2765, 0.0000) (multiplicity 16)  7 S 2.73-2.83
~~~
This is a good program but I would not recommend it for someone who wants a novelty program who wants to look up Bible verses everyone once in while. If that is what you want then check out my other review